## Entries
No. 1
MgFe4P4O16: optimized geometry, PBE with a Hubbard U.

DFT formation energy, meV per atom: -2378
Polymorph energy (0 for the lowest one), meV per atom: 16
MP2020-corrected energy, eV per atom: -7.8299
Size of the total moment, Bohr magnetons per cell: 18.0

Cell lengths 8.5188, 8.8110, 5.2267 Å; angles 88.52, 105.70, 89.08 degrees
Last column: nearest neighbours and their distance in Å.
Atoms (fractional coordinates):
O 0.2982 0.5560 0.1650  1 P 1.55
O 0.3453 0.3226 0.5339  1 P 1.54
O 0.7515 0.9248 0.6824  1 P 1.53
O 0.7018 0.4440 0.8350  1 P 1.55
O 0.6340 0.3868 0.2808  1 P 1.53
O 0.7860 0.1918 0.0769  1 P 1.55
O 0.2485 0.0752 0.3176  1 P 1.53
O 0.8175 0.8594 0.2519  1 P 1.55
O 0.2140 0.8082 0.9231  1 P 1.55
O 0.5406 0.9325 0.2273  1 P 1.58
O 0.1825 0.1406 0.7481  1 P 1.55
O 0.0828 0.5660 0.7260  1 P 1.58
O 0.4594 0.0675 0.7727  1 P 1.58
O 0.9172 0.4340 0.2740  1 P 1.58
O 0.6547 0.6774 0.4661  1 P 1.54
O 0.3660 0.6132 0.7192  1 P 1.53
P 0.2471 0.6381 0.8872  4 O 1.53-1.58
P 0.7529 0.3619 0.1128  4 O 1.53-1.58
P 0.3075 0.1561 0.5819  4 O 1.53-1.58
P 0.6925 0.8439 0.4181  4 O 1.53-1.58
Mg 0.5000 0.5000 0.5000  6 O 2.08-2.14
Fe 0.8442 0.5137 0.6011  4 O 2.02-2.11
Fe 0.1558 0.4863 0.3989  4 O 2.02-2.11
Fe 0.3096 0.9954 0.0265  4 O 1.88-2.02
Fe 0.6904 0.0046 0.9735  4 O 1.88-2.02

No. 2
Fe4O5F3: optimized geometry, PBE with a Hubbard U.

DFT formation energy, meV per atom: -1837
Polymorph energy (0 for the lowest one), meV per atom: 34
MP2020-corrected energy, eV per atom: -7.2011
Size of the total moment, Bohr magnetons per cell: 38.0

Cell lengths 6.0375, 6.4240, 7.0361 Å; angles 90.00, 90.00, 90.00 degrees
Last column: nearest neighbours and their distance in Å.
Atoms (fractional coordinates):
O 0.7402 0.1931 0.2461  3 Fe 1.91-2.01
O 0.7598 0.3069 0.7539  3 Fe 1.91-2.01
O 0.2598 0.1931 0.2461  3 Fe 1.91-2.01
O 0.5000 0.5000 0.4420  3 Fe 1.92-1.99
O 0.7598 0.6931 0.7539  3 Fe 1.91-2.01
O 0.0000 0.0000 0.5580  3 Fe 1.92-1.99
O 0.7402 0.8069 0.2461  3 Fe 1.91-2.01
O 0.2598 0.8069 0.2461  3 Fe 1.91-2.01
O 0.2402 0.3069 0.7539  3 Fe 1.91-2.01
O 0.2402 0.6931 0.7539  3 Fe 1.91-2.01
Fe 0.5000 0.0000 0.2382  4 O 1.91
Fe 0.7371 0.5000 0.2602  3 O 1.92-1.97, 3 F 2.03-2.07
Fe 0.2371 0.0000 0.7398  3 O 1.92-1.97, 3 F 2.03-2.07
Fe 0.2629 0.5000 0.2602  3 O 1.92-1.97, 3 F 2.03-2.07
Fe 0.5000 0.5000 0.7249  5 O 1.99-2.01
Fe 0.0000 0.0000 0.2751  5 O 1.99-2.01
Fe 0.7629 0.0000 0.7398  3 O 1.92-1.97, 3 F 2.03-2.07
Fe 0.0000 0.5000 0.7618  4 O 1.91
F 0.0000 0.5000 0.4398  3 Fe 2.03-2.27
F 0.5000 0.5000 0.0535  2 Fe 2.04
F 0.0000 0.0000 0.9465  2 Fe 2.04
F 0.0000 0.5000 0.0704  3 Fe 2.07-2.17
F 0.5000 0.0000 0.9296  3 Fe 2.07-2.17
F 0.5000 0.0000 0.5602  3 Fe 2.03-2.27

No. 3
Sr7CaMn4Fe4O24: optimized geometry, PBE with a Hubbard U.

DFT formation energy, meV per atom: -2339
MP2020-corrected energy, eV per atom: -7.4170
Size of the total moment, Bohr magnetons per cell: 25.3

Cell lengths 7.8023, 7.8023, 7.8023 Å; angles 89.99, 89.99, 89.99 degrees
Last column: nearest neighbours and their distance in Å.
Atoms (fractional coordinates):
Sr 0.7493 0.2507 0.7493  12 O 2.75-2.79
Sr 0.2507 0.7493 0.2507  12 O 2.75-2.77
Sr 0.2507 0.7493 0.7493  12 O 2.75-2.79
Sr 0.2507 0.2507 0.7493  12 O 2.75-2.77
Sr 0.7493 0.2507 0.2507  12 O 2.75-2.77
Sr 0.7493 0.7493 0.2507  12 O 2.75-2.79
Sr 0.7493 0.7493 0.7493  12 O 2.75-2.77
Fe 0.0006 0.0006 0.0006  6 O 1.92-1.93
Fe 0.0006 0.4994 0.0006  6 O 1.97-1.98
Fe 0.0006 0.0006 0.4994  6 O 1.97-1.98
Fe 0.4994 0.0006 0.0006  6 O 1.97-1.98
O 0.4996 0.7463 0.0005  1 Mn 1.93, 1 Fe 1.98
O 0.0005 0.4996 0.7463  1 Mn 1.93, 1 Fe 1.98
O 0.2471 0.0023 0.0023  2 Fe 1.92-1.97
O 0.4997 0.7490 0.4997  2 Mn 1.95-1.96
O 0.7463 0.0005 0.4996  1 Mn 1.93, 1 Fe 1.98
O 0.2536 0.0024 0.4975  1 Mn 1.92, 1 Fe 1.97
O 0.0005 0.7463 0.4996  1 Mn 1.93, 1 Fe 1.98
O 0.0023 0.0023 0.2471  2 Fe 1.92-1.97
O 0.0005 0.0005 0.7530  2 Fe 1.93-1.98
O 0.7463 0.4996 0.0005  1 Mn 1.93, 1 Fe 1.98
O 0.7530 0.0005 0.0005  2 Fe 1.93-1.98

## What to do
Set down only the last part of the material further up, starting with the line that has "0.2273".

## Outcome
O 0.5406 0.9325 0.2273  1 P 1.58
O 0.1825 0.1406 0.7481  1 P 1.55
O 0.0828 0.5660 0.7260  1 P 1.58
O 0.4594 0.0675 0.7727  1 P 1.58
O 0.9172 0.4340 0.2740  1 P 1.58
O 0.6547 0.6774 0.4661  1 P 1.54
O 0.3660 0.6132 0.7192  1 P 1.53
P 0.2471 0.6381 0.8872  4 O 1.53-1.58
P 0.7529 0.3619 0.1128  4 O 1.53-1.58
P 0.3075 0.1561 0.5819  4 O 1.53-1.58
P 0.6925 0.8439 0.4181  4 O 1.53-1.58
Mg 0.5000 0.5000 0.5000  6 O 2.08-2.14
Fe 0.8442 0.5137 0.6011  4 O 2.02-2.11
Fe 0.1558 0.4863 0.3989  4 O 2.02-2.11
Fe 0.3096 0.9954 0.0265  4 O 1.88-2.02
Fe 0.6904 0.0046 0.9735  4 O 1.88-2.02

No. 2
Fe4O5F3: optimized geometry, PBE with a Hubbard U.

DFT formation energy, meV per atom: -1837
Polymorph energy (0 for the lowest one), meV per atom: 34
MP2020-corrected energy, eV per atom: -7.2011
Size of the total moment, Bohr magnetons per cell: 38.0

Cell lengths 6.0375, 6.4240, 7.0361 Å; angles 90.00, 90.00, 90.00 degrees
Last column: nearest neighbours and their distance in Å.
Atoms (fractional coordinates):
O 0.7402 0.1931 0.2461  3 Fe 1.91-2.01
O 0.7598 0.3069 0.7539  3 Fe 1.91-2.01
O 0.2598 0.1931 0.2461  3 Fe 1.91-2.01
O 0.5000 0.5000 0.4420  3 Fe 1.92-1.99
O 0.7598 0.6931 0.7539  3 Fe 1.91-2.01
O 0.0000 0.0000 0.5580  3 Fe 1.92-1.99
O 0.7402 0.8069 0.2461  3 Fe 1.91-2.01
O 0.2598 0.8069 0.2461  3 Fe 1.91-2.01
O 0.2402 0.3069 0.7539  3 Fe 1.91-2.01
O 0.2402 0.6931 0.7539  3 Fe 1.91-2.01
Fe 0.5000 0.0000 0.2382  4 O 1.91
Fe 0.7371 0.5000 0.2602  3 O 1.92-1.97, 3 F 2.03-2.07
Fe 0.2371 0.0000 0.7398  3 O 1.92-1.97, 3 F 2.03-2.07
Fe 0.2629 0.5000 0.2602  3 O 1.92-1.97, 3 F 2.03-2.07
Fe 0.5000 0.5000 0.7249  5 O 1.99-2.01
Fe 0.0000 0.0000 0.2751  5 O 1.99-2.01
Fe 0.7629 0.0000 0.7398  3 O 1.92-1.97, 3 F 2.03-2.07
Fe 0.0000 0.5000 0.7618  4 O 1.91
F 0.0000 0.5000 0.4398  3 Fe 2.03-2.27
F 0.5000 0.5000 0.0535  2 Fe 2.04
F 0.0000 0.0000 0.9465  2 Fe 2.04
F 0.0000 0.5000 0.0704  3 Fe 2.07-2.17
F 0.5000 0.0000 0.9296  3 Fe 2.07-2.17
F 0.5000 0.0000 0.5602  3 Fe 2.03-2.27

No. 3
Sr7CaMn4Fe4O24: optimized geometry, PBE with a Hubbard U.

DFT formation energy, meV per atom: -2339
MP2020-corrected energy, eV per atom: -7.4170
Size of the total moment, Bohr magnetons per cell: 25.3

Cell lengths 7.8023, 7.8023, 7.8023 Å; angles 89.99, 89.99, 89.99 degrees
Last column: nearest neighbours and their distance in Å.
Atoms (fractional coordinates):
Sr 0.7493 0.2507 0.7493  12 O 2.75-2.79
Sr 0.2507 0.7493 0.2507  12 O 2.75-2.77
Sr 0.2507 0.7493 0.7493  12 O 2.75-2.79
Sr 0.2507 0.2507 0.7493  12 O 2.75-2.77
Sr 0.7493 0.2507 0.2507  12 O 2.75-2.77
Sr 0.7493 0.7493 0.2507  12 O 2.75-2.79
Sr 0.7493 0.7493 0.7493  12 O 2.75-2.77
Fe 0.0006 0.0006 0.0006  6 O 1.92-1.93
Fe 0.0006 0.4994 0.0006  6 O 1.97-1.98
Fe 0.0006 0.0006 0.4994  6 O 1.97-1.98
Fe 0.4994 0.0006 0.0006  6 O 1.97-1.98
O 0.4996 0.7463 0.0005  1 Mn 1.93, 1 Fe 1.98
O 0.0005 0.4996 0.7463  1 Mn 1.93, 1 Fe 1.98
O 0.2471 0.0023 0.0023  2 Fe 1.92-1.97
O 0.4997 0.7490 0.4997  2 Mn 1.95-1.96
O 0.7463 0.0005 0.4996  1 Mn 1.93, 1 Fe 1.98
O 0.2536 0.0024 0.4975  1 Mn 1.92, 1 Fe 1.97
O 0.0005 0.7463 0.4996  1 Mn 1.93, 1 Fe 1.98
O 0.0023 0.0023 0.2471  2 Fe 1.92-1.97
O 0.0005 0.0005 0.7530  2 Fe 1.93-1.98
O 0.7463 0.4996 0.0005  1 Mn 1.93, 1 Fe 1.98
O 0.7530 0.0005 0.0005  2 Fe 1.93-1.98